@Celsius765: Huh? Sony's barely making games these days? Who told you that? That's not true.
Sony released a bunch of games from Bloodborne to The Last of Us to Ratchet and Clank to Uncharted 4. Besides, the PS4 has hundreds more games than the Xbone thanks to indie and Japanese support. I enjoy my Xbone, but the PS4 is the main console due to running multiplats better (higher resolution and better frames) and having a larger and wider library of games from both Sony and the 3rd party companies.
It's odd considering that both machines released a week apart in Nov 2013, and yet one of them is has released more 1st party and 3rd party games, the PS4. You should research it more as I've owned both machines since their launch in 2013. I've been able to watch all this time and took note. I have about 70+ games on Xbone, and 250+ games on PS4.
• Between two parts of the text: crystal structures:
'''
8
Lattice="5.058 0.000 0.000 0.000 6.755 0.000 0.000 0.000 6.082" Properties=species:S:1:pos:R:3 comment="Y3Fe | the Alexandria database | PBE | relaxed" space_group="Pmmn, No. 59" formation_energy_mev_per_atom=265 rho_g_cm3=5.16 final_energy_ev_per_atom=-6.70 pbc="T T T"
Y 1.264 0.044 0.995
Y 1.264 1.689 3.766
Y 1.264 3.334 0.995
Y 3.793 3.422 5.086
Y 3.793 5.066 2.316
Y 3.793 6.711 5.086
Fe 1.264 5.066 4.158
Fe 3.793 1.689 1.924

=====

[1]
Compound: Er3TmSc3
Source: the Alexandria database
Functional: PBE
Structure: optimized geometry

Results
E_form: 13 kJ/mol of formula units
SG: No. 176
electronic total energy: -5.2892 eV per atom
excess energy over the best structure of this formula in the dataset: 0.0 meV per atom

Structure (POSCAR):
```
Er3TmSc3
1.0
9.161 0.000 0.000
-4.581 7.934 0.000
0.000 0.000 5.400
Er Tm Sc
6 2 6
direct
0.047 0.803 0.250
0.197 0.244 0.250
0.244 0.047 0.750
0.756 0.953 0.250
0.803 0.756 0.750
0.953 0.197 0.750
0.333 0.667 0.250
0.667 0.333 0.750
0.096 0.615 0.750
0.385 0.481 0.750
0.481 0.096 0.250
0.519 0.904 0.750
0.615 0.519 0.250
0.904 0.385 0.250
```



[2]
Compound: FePd
Source: the Alexandria database
Functional: PBE
Structure: optimized geometry

Results
E_form: 36 kJ/mol of formula units
SG: No. 176
electronic total energy: -6.6421 eV per atom

Structure (POSCAR):
```
FePd
1.0
8.880 0.000 0.000
-4.440 7.690 0.000
0.000 0.000 2.656
Fe Pd
6 6
direct
0.150 0.533 0.250
0.383 0.850 0.250
0.467 0.617 0.250
0.533 0.383 0.750
0.617 0.150 0.750
0.850 0.467 0.750
0.055 0.759 0.250
0.241 0.296 0.250
0.296 0.055 0.750
0.704 0.945 0.250
0.759 0.704 0.750
0.945 0.241 0.750
```



[3]
Compound: ZrZnTe
Source: the Alexandria database
Functional: PBE
Structure: optimized geometry

Results
formation energy (no corrections): -0.442 eV/atom
SG: No. 129
electronic total energy: -4.7629 eV per atom
excess energy over the best structure of this formula in the dataset: 0.0 meV per atom

Structure (POSCAR):
```
ZrZnTe
1.0
3.928 0.000 0.000
0.000 3.928 0.000
0.000 0.000 8.582
Zr Zn Te
2 2 2
direct
0.250 0.250 0.240
0.750 0.750 0.760
0.250 0.750 0.500
0.750 0.250 0.500
0.250 0.250 0.871
0.750 0.750 0.129
```



[4]
Compound: Ac3Mg7Tl4
Source: the Alexandria database
Functional: PBE
Structure: optimized geometry

Results
E_form: -331 kJ/mol of formula units
SG: No. 12
electronic total energy: -2.5985 eV per atom

Structure (POSCAR):
```
Ac3Mg7Tl4
1.0
9.083 -2.477 0.000
9.083 2.477 0.000
-6.334 0.000 8.793
Ac Mg Tl
3 7 4
direct
0.000 0.000 0.000
0.300 0.300 0.298
0.700 0.700 0.702
0.000 0.000 0.500
0.152 0.152 0.426
0.334 0.334 0.982
0.496 0.496 0.688
0.504 0.504 0.312
0.666 0.666 0.018
0.848 0.848 0.574
'''
• The text goes on:
It's what Nintendo has been doing for a great many years.
I'm not sure why people are surprised every time they release new hardware, they limit supplies. It inflates demand and creates HYPE and we see news articles like this that get other consumers interested in something they might have passed up before.
It's free advertising. It's not right, and it's a despicable practice, but I've grown accustomed to this move by companies, and especially Nintendo. for a great many years now.
I still have my copy of Voodoo Vince I got back when it launched (I had it reserved), it was alright, but definitely on the short side.
It released later in the gen (end of 2003) after a lot of top notch platformers had already released that gen across GC/PS2/Xbox, so it could have been better, but it was decent and did have some fun puzzles mixed in with the platforming for Xbox only gamers to try out.
[Inserted here: data records]
-- begin --
<1>
NpIn2Au PBE optimized geometry; total magnetic moment = 4.3 μB/cell; SG = R-3m (166)
1.0
4.702 0.000 0.000
2.351 4.072 0.000
2.351 1.357 5.137
Np Au In
1 1 2
Cartesian
0.000 0.000 0.000 Np
4.702 2.714 2.569 Au
7.052 4.072 3.494 In
2.351 1.357 1.644 In


<2>
NpIn2Au PBE optimized geometry; total magnetic moment = 4.3 μB/cell; SG = P4/mmm (123)
1.0
4.737 0.000 0.000
0.000 4.484 0.000
0.000 0.000 4.484
Np Au In
1 1 2
Cartesian
2.368 2.242 2.242 Np
2.368 0.000 0.000 Au
0.000 0.000 2.242 In
0.000 2.242 0.000 In


<3>
NpIn2Au PBE optimized geometry; total magnetic moment = 4.7 μB/cell; SG = P4/mmm (123)
1.0
3.285 0.000 0.000
0.000 3.285 0.000
0.000 0.000 8.440
Np Au In
1 1 2
Cartesian
1.642 1.642 4.220 Np
1.642 1.642 0.000 Au
0.000 0.000 6.585 In
0.000 0.000 1.855 In


Least stable of them? <1>.


<1>
NpInAu6 PBE optimized geometry; total magnetic moment = 4.0 μB/cell; SG = P-1 (2)
1.0
4.924 -0.002 0.889
2.344 4.282 0.577
-0.289 -0.860 7.697
Np In Au
1 1 6
Cartesian
1.028 1.711 4.137 Np
0.000 0.000 0.000 In
3.284 3.076 5.764 Au
3.264 0.208 6.186 Au
2.189 1.473 1.131 Au
3.716 3.213 2.976 Au
3.695 0.345 3.398 Au
4.790 1.948 8.031 Au


<2>
NpInAu6 PBE optimized geometry; total magnetic moment = 4.0 μB/cell; SG = Amm2 (38)
1.0
4.801 0.000 0.000
0.000 6.004 0.337
0.000 -2.356 5.533
Np In Au
1 1 6
Cartesian
0.000 -1.334 4.898 Np
2.400 0.879 3.523 In
0.000 -0.578 2.039 Au
0.000 1.564 5.486 Au
0.000 2.301 2.639 Au
2.400 2.392 0.848 Au
2.400 3.948 3.350 Au
2.400 5.419 0.701 Au


Least stable of them? <2>.


<1>
NpInAu2 PBE optimized geometry; total magnetic moment = 4.3 μB/cell; SG = P4/mmm (123)
1.0
3.276 0.000 0.000
0.000 3.276 0.000
0.000 0.000 8.067
Np Au In
1 2 1
Cartesian
1.638 1.638 4.034 Np
0.000 0.000 6.139 Au
0.000 0.000 1.929 Au
1.638 1.638 0.000 In


<2>
NpInAu2 PBE optimized geometry; total magnetic moment = 4.3 μB/cell; SG = R3m (160)
1.0
-3.736 -1.903 -0.531
-2.192 -1.327 3.361
-5.013 4.793 1.280
Np In Au
1 1 2
Cartesian
-8.947 2.604 3.164 Np
-5.503 0.845 2.059 In
-4.202 3.226 1.190 Au
-2.772 0.461 1.031 Au


Least stable of them? <2>.


<1>
NpInAu2 PBE optimized geometry; total magnetic moment = 4.3 μB/cell; SG = P4/mmm (123)
1.0
-1.919 -1.824 -2.693
-0.646 -3.804 3.036
-4.179 2.003 1.621
Np Au In
1 2 1
Cartesian
-3.372 -1.812 0.982 Np
-2.090 1.002 0.810 Au
-0.323 -1.902 1.518 Au
-0.960 -0.912 -1.347 In


<2>
NpInAu2 PBE optimized geometry; total magnetic moment = 4.0 μB/cell; SG = Fm-3m (225)
1.0
-0.787 -3.221 -3.742
1.740 -4.676 0.319
-3.176 -3.813 0.610
Np Au In
1 2 1
Cartesian
0.000 0.000 0.000 Np
-0.556 -2.927 -0.703 Au
-1.667 -8.782 -2.110 Au
-1.111 -5.855 -1.407 In


Least stable of them? <1>.


<1>
InAu2O PBE optimized geometry; total magnetic moment = 0.0 μB/cell; SG = I-42d (122)
1.0
-4.680 0.848 -1.838
0.937 -3.196 -3.860
-4.265 -6.352 0.858
Au O In
4 2 2
Cartesian
-3.323 -1.557 -1.200 Au
-1.617 -3.380 -2.644 Au
-4.492 -6.021 -1.948 Au
-6.584 -6.443 -3.888 Au
-1.871 -1.174 -2.849 O
-2.600 -5.361 -2.926 O
0.000 0.000 0.000 In
-- stop --
73/100 http://www.metacritic.com/game/xbox/voodoo-vince (Metascore). It will be interesting to see how the Remaster fares with the critics. Jeff Gerstmann gave it a 7.8 back in the day as seen above, perhaps he will return and will review the remaster.
Good luck to the brand new developers making this new GeoW game.
I would like to add it to my GeoW collection, but I want to avoid a GeoW: Judgement scenario so while I have it reserved, I'm waiting for reviewers I trust and some friends that are willing to take a chance on this brand new developer for full price.
@deviltaz35: Yeah, I wish I was into racing games, or I would so buy Forza Horizon day one. I know the series is great, but I never got into the racing genre!
It's a shame neither of us have original launch 360s, but I suppose it's for the best as I would worry how much time was left if I did have one. The collector in me though wishes he still had a well made launch model (not sure they ever existed tbh). I too went through 4 units.
@deviltaz35: Yeah, I have my original Xbox 2001 launch model with a Halo Xbox 1 OG model as well. I don't have my two original 2005 360s I got at launch back then though due to RROD and E74 issues, but I have replaced them over the years for RE, GeoW, and Halo models...these days I have two 360 Slims instead due to wanting to avoid RROD/E74 in the long term future and they work good.
With all the money I spend on xbox hardware, gear, and games, I suppose it could be argued I could own all the gaming platforms instead of owning multiple Xboxes, lol. Still own Xboxes, but also other stuff too. Then I could play those sweet games that don't release on Xbox.
I have Mercenaries, I too enjoyed it. It was a good multiplatform game and very unique for it's time.
@deviltaz35: I am not going to rebuy an Xbone for another Xbone (waste of money to play the same exact games), but I already have external HDDs for my Xbone (I wish there was an official internal option though).
Although external drives are ugly and popping out of USB holes on my Xbone, I don't have a choice... I do have them...and I still run out of space. I am well aware of my HDD options as I have been since the 1990s.
-- Next to the piece, the page also holds records of crystals --
(1)
VASP calculation (PBE) on crystalline Ir2RhCl at its relaxed geometry.

Computed properties:
E_form (uncorrected) = 68.9 kJ/mol of atoms
Relative energy among the computed polymorphs = 345 meV/atom

Unit cell a=9.048 b=2.789 c=4.921 alpha=90.00 beta=104.85 gamma=90.00
Sites, in units of the cell vectors:
Ir1 0.242 0.000 0.256
Ir2 0.258 0.500 0.744
Ir3 0.742 0.500 0.256
Ir4 0.758 0.000 0.744
Rh1 0.000 0.000 0.500
Rh2 0.500 0.500 0.500
Cl1 0.000 0.500 0.000
Cl2 0.500 0.000 0.000

=====

(2)
VASP calculation (PBE) on crystalline RbHfB at its relaxed geometry.

Computed properties:
DFT formation energy = 0.05 eV per atom
Relative energy among the computed polymorphs = 0 meV/atom

Unit cell a=3.183 b=3.468 c=14.233 alpha=91.37 beta=95.69 gamma=90.00
Sites, in units of the cell vectors:
Rb1 0.000 0.000 0.000
Rb2 0.170 0.934 0.318
Hf1 0.387 0.476 0.752
Hf2 0.805 0.457 0.566
B1 0.333 0.964 0.630
B2 0.859 0.970 0.688

=====

(3)
VASP calculation (PBE) on crystalline CaSiP2 at its relaxed geometry.

Computed properties:
E_form (uncorrected) = -12.6 kJ/mol of atoms

Unit cell a=3.278 b=4.997 c=8.896 alpha=90.00 beta=90.00 gamma=90.00
Sites, in units of the cell vectors:
Ca1 0.000 0.000 0.000
Ca2 0.500 0.500 0.500
Si1 0.000 0.500 0.790
Si2 0.500 0.000 0.290
P1 0.000 0.000 0.497
P2 0.000 0.500 0.197
P3 0.500 0.000 0.697
P4 0.500 0.500 0.997

=====

(4)
VASP calculation (PBE) on crystalline LiTaAlCr2 at its relaxed geometry.

Computed properties:
DFT formation energy = 1.19 eV per atom

Unit cell a=4.701 b=4.701 c=5.159 alpha=90.00 beta=90.00 gamma=90.00
Sites, in units of the cell vectors:
Li1 0.000 0.000 0.000
Ta1 0.500 0.500 0.500
Al1 0.500 0.500 0.000
Cr1 0.000 0.500 0.500
Cr2 0.500 0.000 0.500

=====

Going through the records in order, we get total DFT energy (no corrections) values of -0.442 -0.428 -0.345 -0.453 Ry per atom.

----------

[1]
# ReSeCl | Alexandria via LeMat-Bulk | PBE | relaxed
# **Polymorph energy (0 for the lowest one)**: 852.6 meV/atom
# **Formation energy from raw total energies**: 0.28 eV per atom
data_ReSeCl
_cell_length_a 6.007
_cell_length_b 6.007
_cell_length_c 6.007
_cell_angle_alpha 90.00
_cell_angle_beta 90.00
_cell_angle_gamma 90.00
_symmetry_space_group_name_H-M 'F -4 3 m'
_symmetry_Int_Tables_number 216
_symmetry_space_group_name_Hall 'F -4 2 3'
loop_
_atom_site_label
_atom_site_type_symbol
_atom_site_fract_x
_atom_site_fract_y
_atom_site_fract_z
Re1 Re 0.000 0.000 0.000
Se1 Se 0.250 0.250 0.250
Cl1 Cl 0.250 0.250 0.750

***

[2]
A relaxed Tm6IrAu crystal, computed with PBE.

Structure (CIF):
```
data_Tm6IrAu
_cell_length_a 6.740
_cell_length_b 11.062
_cell_length_c 6.746
_cell_angle_alpha 90.00
_cell_angle_beta 110.41
_cell_angle_gamma 90.00
_symmetry_space_group_name_H-M 'C 1 2/m 1'
_symmetry_Int_Tables_number 12
loop_
_symmetry_equiv_pos_as_xyz
'x,y,z'
'-x,-y,-z'
I am aware of how to manage my HDDs, but that has nothing to do with my point which is I have far too many 360 games that are NOT supported and I prefer to keep my Xbone HDD space reserved for Xbone games.
SolidTy's comments